The Black Widow movie shows ‘severing the nerve’ as a way to get past the villain’s invisible defenses. In the film, she succeeds, but is this based in real science?
Uh-oh… spoiler alert! For those of you who have watched the movie Black Widow, released in July of this year, I’m sure you were in awe of how Natasha Romanoff found a way to physically hit the villain who seemed to have an invisible shield around him.
-- What comes next are calculated crystals, not part of the page --
=====
Diffraction record for Sr3Ge2N2. The powder X-ray diffraction pattern is theoretical, not measured: it uses a GGA-PBE-relaxed structure and Cu Kα.
Peak positions follow from Bragg's law for the DFT cell and can differ from measured ones.

The 10 most intense peaks (2θ = 10–80°), sorted by position:
d/Å	intensity
3.129	37
3.027	100
2.985	46
2.946	32
2.763	72
2.542	63
2.393	22
2.211	26
1.957	31
1.643	18

Crystal structure
```
Sr3Ge2N2
1.0
9.103 0.000 0.000
0.000 3.913 0.000
-3.720 0.000 8.954
Sr Ge N
6 4 4
Direct
0.019 0.250 0.170 Sr
0.182 0.750 0.557 Sr
0.381 0.750 0.147 Sr
0.619 0.250 0.853 Sr
0.818 0.250 0.443 Sr
0.981 0.750 0.830 Sr
0.259 0.250 0.849 Ge
0.414 0.250 0.443 Ge
0.586 0.750 0.557 Ge
0.741 0.750 0.151 Ge
0.070 0.250 0.674 N
0.185 0.250 0.008 N
0.815 0.750 0.992 N
0.930 0.750 0.326 N
```

***

Diffraction record for Sr6Ge5N2. The powder X-ray diffraction pattern is theoretical, not measured: it uses a GGA-PBE-relaxed structure and Cu Kα.
Peak positions follow from Bragg's law for the DFT cell and can differ from measured ones.

The 10 most intense peaks (2θ = 10–80°), sorted by position:
d/Å	intensity
3.159	85
3.056	38
3.014	100
2.879	74
2.867	48
2.699	75
2.521	71
2.335	50
2.027	59
1.682	44

Crystal structure
```
Sr6Ge5N2
1.0
4.055 0.000 0.000
0.000 18.089 0.000
0.000 0.000 9.169
Sr Ge N
12 10 4
Direct
0.250 0.066 0.115 Sr
0.250 0.250 0.758 Sr
0.250 0.434 0.115 Sr
0.250 0.610 0.536 Sr
0.250 0.750 0.840 Sr
0.250 0.890 0.536 Sr
0.750 0.110 0.464 Sr
0.750 0.250 0.160 Sr
0.750 0.390 0.464 Sr
0.750 0.566 0.885 Sr
0.750 0.750 0.242 Sr
0.750 0.934 0.885 Sr
0.250 0.055 0.737 Ge
0.250 0.250 0.420 Ge
0.250 0.445 0.737 Ge
0.250 0.620 0.144 Ge
0.250 0.880 0.144 Ge
0.750 0.120 0.856 Ge
0.750 0.380 0.856 Ge
0.750 0.555 0.263 Ge
0.750 0.750 0.580 Ge
0.750 0.945 0.263 Ge
0.250 0.167 0.293 N
0.250 0.333 0.293 N
0.750 0.667 0.707 N
0.750 0.833 0.707 N
```

***

Diffraction record for Sr2GeN2. The powder X-ray diffraction pattern is theoretical, not measured: it uses a GGA-PBE-relaxed structure and Cu Kα.
Peak positions follow from Bragg's law for the DFT cell and can differ from measured ones.

The 10 most intense peaks (2θ = 10–80°), sorted by position:
d/Å	intensity
3.148	43
3.036	62
2.791	100
2.732	88
2.603	87
2.256	33
1.883	20
1.740	30
1.553	24
1.470	17

Crystal structure
```
Sr2GeN2
1.0
2.732 -5.736 0.000
2.732 5.736 0.000
0.000 0.000 12.267
Sr Ge N
8 4 8
Direct
0.048 0.952 0.858 Sr
0.144 0.856 0.442 Sr
0.356 0.644 0.942 Sr
0.452 0.548 0.358 Sr
0.548 0.452 0.642 Sr
0.644 0.356 0.058 Sr
0.856 0.144 0.558 Sr
0.952 0.048 0.142 Sr
0.240 0.760 0.680 Ge
0.260 0.740 0.180 Ge
0.740 0.260 0.820 Ge
0.760 0.240 0.320 Ge
0.079 0.921 0.642 N
0.160 0.840 0.060 N
0.340 0.660 0.560 N
0.421 0.579 0.142 N
0.579 0.421 0.858 N
0.660 0.340 0.440 N
0.840 0.160 0.940 N
0.921 0.079 0.358 N
```
=====
She manages to do that using a technique called “severing the nerve”, but what is that and is it based in real science?
A Rapid-fire Recap
“Sever the nerve” must resonate inside your head when anyone talks about the climax scene. Natasha Romanoff, aka Black Widow, is facing the villain Dreykov, holding a gun to his head. However, Natasha can’t get herself to shoot! It leaves our heroine, as well as the viewers, in shock.
It seems as if this old, frail villain with freckles on his face and specs on his nose has an invisible shield protecting him. As it turns out, it’s no invisible shield… it’s a pheromonal lock!
The Cambridge dictionary defines pheromone as a “chemical substance released by an animal that influences the behavior of another animal of the same type, for example by attracting it sexually”. For instance, bombykol is a pheromone released by the female silkworm moth to attract its mate. Typically, these pheromones are smelled.
Pheromonal Lock In Black Widow
In the movie, Dreykov reveals that he has a “pheromonal lock” installed inside all of his widows. This prevents Natasha (or any of the other widows) from “committing violence against him”, including hurting him physically, so long as she can smell him, or rather, smell his pheromones.
This is when the “sever the nerve” tactic is employed by the dauntless heroine. In order to not smell the pheromones, one must have their sense of smell hampered. The olfactory nerve, which helps us smell stuff around us, was severed by Black Widow to stop her from smelling Dreykov’s pheromones.

Natasha does this by banging her head on the table to sever the nerve. As a result, she starts bleeding from her nose, but how scientifically accurate and possible is that? Let’s discuss.
The Olfactory Nerve And Its Structure
The olfactory nerve is the first among the twelve pairs of cranial nerves found in vertebrates. Cranial nerves connect the brain to various regions of the head, neck, and trunk. The olfactory nerve, which comes in a pair, left and right, begins from the nose and connects to a region in the brain called the olfactory bulb.
The nose is planned in a way to let the inspired air go towards the olfactory epithelium present in the nose. This specialized epithelium is present deeper in the nose, over the nasal septum, along with the upper and lateral portions of both nasal cavities.
This epithelium is composed of neurons called olfactory neurons. These olfactory neurons have tiny receptors on them that can detect thousands of odor molecules that waft into your nose. When the receptor detects an odor molecule, it gets “activated” and relays this information to the olfactory bulb. This happens for the dozens to hundreds of odor molecules we may smell at any given moment.
Someone pasted crystal structures at this point =
No. 1
# K2TiSi6O15
Simulated PXRD pattern, CuKα. Input: a GGA-PBE-relaxed structure.
Lines closer than 0.1° are merged.

Peak list (10 most intense, 2θ from 10° to 90°, sorted by position)
(hkl)  2theta  I (rel.)
1 1 0  14.78  268
0 2 1  18.17  294
1 3 0  24.51  318
0 1 2  24.84  1000
1 3 -1  25.62  557
2 1 -1  26.63  404
1 2 -2  27.59  237
2 2 -1  29.24  316
2 2 0  29.82  231
1 4 -1  31.58  384

Crystal structure
Lattice parameters (Å, degrees): 7.0442 12.9191 7.7668 90.00 106.23 90.00
Space group P2_1 (No. 4)
Inequivalent atoms, fractional coordinates:
K1 0.1833 0.0000 0.4259
K2 0.1963 0.2961 0.1569
Ti1 0.2446 0.6564 0.7505
Si1 0.0083 0.7283 0.3307
Si2 0.0126 0.5631 0.0415
Si3 0.3071 0.8999 0.9310
Si4 0.3303 0.3955 0.7091
Si5 0.4463 0.7397 0.4428
Si6 0.4510 0.5706 0.1631
O1 0.0229 0.6129 0.8546
O2 0.0265 0.6788 0.5241
O3 0.0700 0.1465 0.8366
O4 0.1354 0.3297 0.7226
O5 0.1380 0.9637 0.9987
O6 0.2062 0.7982 0.8276
O7 0.2246 0.7742 0.3217
O8 0.2326 0.5205 0.1595
O9 0.2688 0.5140 0.6679
O10 0.3883 0.9747 0.7932
O11 0.4107 0.3422 0.5482
O12 0.4360 0.6279 0.9760
O13 0.4494 0.7064 0.6430
O14 0.4718 0.1452 0.6596
O15 0.4984 0.8767 0.1017

=====

No. 2
# Pr2AlPt7
Simulated PXRD pattern, CuKα. Input: a GGA-PBE-relaxed structure.
Lines closer than 0.1° are merged.

Peak list (10 most intense, 2θ from 10° to 90°, sorted by position)
(hkl)  2theta  I (rel.)
1 0 1  23.34  309
1 0 3  31.10  399
1 1 2  34.83  1000
1 0 5  42.91  494
1 1 4  43.28  473
2 0 0  45.27  569
2 1 5  64.14  303
2 2 0  65.96  187
3 1 2  76.80  207
3 1 4  82.22  172

Crystal structure
Lattice parameters (Å, degrees): 4.0060 4.0060 12.3913 90.00 90.00 90.00
Space group P-4m2 (No. 115)
Inequivalent atoms, fractional coordinates:
Pr1 0.0000 0.5000 0.2340
Al1 0.0000 0.0000 0.5000
Pt1 0.0000 0.0000 0.0000
Pt2 0.0000 0.5000 0.6397
Pt3 0.0000 0.5000 0.8480
Pt4 0.5000 0.5000 0.0000
Pt5 0.5000 0.5000 0.5000

=====

No. 3
# Tm2Mg3Hg4
Simulated PXRD pattern, CuKα. Input: a GGA-PBE-relaxed structure.
Lines closer than 0.1° are merged.

Peak list (10 most intense, 2θ from 10° to 90°, sorted by position)
(hkl)  2theta  I (rel.)
1 1 -1  22.52  310
2 0 1  22.59  264
1 1 -3  34.92  707
2 0 3  35.07  349
3 1 0  35.95  1000
4 0 -3  50.80  123
2 2 3  51.13  242
1 1 6  62.15  127
4 2 -3  63.83  125
1 3 -3  64.06  247

Crystal structure
Lattice parameters (Å, degrees): 8.6656 4.9900 9.5609 90.00 90.38 90.00
Space group C2/m (No. 12)
Inequivalent atoms, fractional coordinates:
Tm1 0.1677 0.0000 0.2141
Mg1 0.0000 0.5000 0.0000
Mg2 0.1658 0.0000 0.5721
Hg1 0.0020 0.5000 0.3397
Hg2 0.1662 0.0000 0.8952

=====

No. 4
# Nd3ZnGa2
Simulated PXRD pattern, CuKα. Input: a GGA-PBE-relaxed structure.
Lines closer than 0.1° are merged.

Peak list (10 most intense, 2θ from 10° to 90°, sorted by position)
(hkl)  2theta  I (rel.)
1 0 0  24.28  130
1 0 3  34.17  1000
1 1 0  34.60  484
0 0 6  48.44  92
2 0 0  49.74  172
1 1 6  60.89  184
2 1 3  61.73  355
2 0 6  71.96  111
1 0 9  81.13  79
3 0 3  83.11  76

Crystal structure
The crystal structures stop here =
The olfactory bulbs then transfers this information to the olfactory cortex. Once the signal reaches the olfactory cortex, it interacts with various structures and makes smell integrated with memory, emotions, and taste.
The olfactory nerves are susceptible to functional loss due to trauma in the brain or a surgical procedure, a fact that is exploited by the Black Widow.
“Sever The Nerve”
A fully functional olfactory system consists of an unblocked nasal airway and undamaged olfactory nerves. Injury to either of these could lead to hyposmia (partial loss of sense of smell) or anosmia (a complete loss of sense of smell).
The olfactory nerves run from the olfactory bulb present in the olfactory epithelium to the olfactory cortex via a cribriform plate. This cribriform plate is a sieve-like structure that partly forms the roof of the nasal cavity.
Any trauma to the head can result in direct injury to these olfactory nerve fibers, which travel through the cribriform plate, thus disrupting the pathway. This occurs due to these olfactory nerve fibers getting stretched and sheared.
Even a direct injury to the nose can cause these tiny nerve fibers to snag at the holes present in the cribriform plate, causing the fibers to break. Once this happens, the entire neuronal pathway gets disrupted, leading to anosmia. In other words, “sever the nerve” can and does actually take place in real life.

Interestingly, even the most common injuries can cause the delicate olfactory nerves to be injured while they travel from the nasal canal to the olfactory bulb via the cribriform plate. Some minor jarring wounds can also disrupt this neural pathway.
Moreover, a loss of smell can also occur due to inflammation in the nose, due to some infection, or even the common cold. Excessive exposure to environmental toxins like pollutants in the air may also lead to a diminished ability to smell. Occupational hazards like ones due to painting (spray painting) or performing “high-frequency heat treatments” also pose a threat to our olfaction.
Also Read: Is It Possible To Smell Without A Nose?
Can Black Widow Get Her Sense Of Smell Back?
Biology textbooks often write that nerve cells, unlike any other cells in the body, are unable to regenerate; neurons, once damaged cannot be formed again. This is the reason cited for why injuries to the brain are “impossible” to cure.
However, it turns out that this is not completely true. Olfactory neurons have a striking capability to regenerate, unlike neurons in any other part of the body. These nerve cells can regenerate throughout a person’s life. This implies that instances of anosmia can be temporary. However, this ability to regenerate is also affected by age and repeated trauma to the olfactory epithelium.
However, the recovery of one’s sense of smell after head trauma is relatively lower, somewhere between 10% -38%. This regenerative ability of the olfactory neurons decreases with the age of a person. Many studies that have been conducted have a follow-up by the researchers taking place about 6-32 months after the injury occurred; some follow up with patients several years later as well.
In short, Black Widow may have a shot at getting her sense of smell back.
Also Read: Does Losing One Sense Improve The Others?
To Conclude
It may be practically possible to injure the olfactory nerves through physical trauma like Black Widow did, but we certainly don’t advise doing so! Moreover, the recovery rate, as mentioned above, is low. The sense of smell is one of the more under-appreciated senses in our body, but its importance cannot be overstated! For example, in situations like a gas leak, it is only our sense of smell that can save our lives!
How well do you understand the article above!

References (click to expand)
- (2021) Neuroanatomy, Cranial Nerve 1 (Olfactory) - StatPearls - NCBI. The National Center for Biotechnology Information
- Olfactory Nerve Injury - an overview | ScienceDirect Topics. ScienceDirect
_Next to the text, the page also holds records of crystals_
1.
Ag8Ge: theoretical powder diffraction line list (Cu Kα X-rays), based on the PBE geometry in Alexandria.
Kinematic intensities with the Lorentz-polarization factor, no thermal factor.

Crystal structure
```
data_Ag8Ge
_chemical_formula_sum 'Ag16 Ge2'
_cell_length_a 9.056
_cell_length_b 9.056
_cell_length_c 3.931
_cell_angle_alpha 90.00
_cell_angle_beta 90.00
_cell_angle_gamma 90.00
_symmetry_space_group_name_H-M 'I 4/m m m'
_symmetry_Int_Tables_number 139
_symmetry_space_group_name_Hall '-I 4 2'
loop_
_atom_site_label
_atom_site_type_symbol
_atom_site_fract_x
_atom_site_fract_y
_atom_site_fract_z
Ag1 Ag 0.000 0.334 0.000
Ag2 Ag 0.166 0.166 0.500
Ge1 Ge 0.000 0.000 0.000
```

Principal peaks in the range 2θ from 10° to 90°, most intense first:
hkl	d [Å]	2θ (°)	I/Imax
3 0 1	2.394	37.6	100
3 3 0	2.134	42.3	35
6 3 1	1.277	74.3	25
3 3 2	1.446	64.4	19
0 0 2	1.965	46.2	14
6 0 0	1.509	61.4	11
3 0 3	1.202	79.8	10
6 0 2	1.197	80.2	10
1 1 0	6.403	13.8	1

2.
Ag3Ge2: theoretical powder diffraction line list (Cu Kα X-rays), based on the PBE geometry in Alexandria.
Kinematic intensities with the Lorentz-polarization factor, no thermal factor.

Crystal structure
```
data_Ag3Ge2
_chemical_formula_sum 'Ag18 Ge12'
_cell_length_a 7.8300
_cell_length_b 7.8300
_cell_length_c 10.7794
_cell_angle_alpha 90.00
_cell_angle_beta 90.00
_cell_angle_gamma 120.00
_symmetry_space_group_name_H-M 'R -3 c'
_symmetry_Int_Tables_number 167
_symmetry_space_group_name_Hall '-R 3 2"c'
loop_
_atom_site_label
_atom_site_type_symbol
_atom_site_fract_x
_atom_site_fract_y
_atom_site_fract_z
Ag1 Ag 0.0000 0.3127 0.2500
Ge1 Ge 0.0000 0.0000 0.1205
```

Principal peaks in the range 2θ from 10° to 90°, most intense first:
hkl	d [Å]	2θ (°)	I/Imax
1 1 3	2.647	33.9	100
3 0 0	2.260	39.9	85
2 2 3	1.719	53.3	23
4 1 3	1.368	68.6	19
3 0 6	1.406	66.5	19
0 2 4	2.110	42.9	12
3 3 0	1.305	72.4	12
2 1 4	1.857	49.1	12
0 0 6	1.797	50.8	8
1 0 4	2.504	35.9	8

3.
AgGeH2Pt: theoretical powder diffraction line list (Cu Kα X-rays), based on the PBE geometry in Alexandria.
Kinematic intensities with the Lorentz-polarization factor, no thermal factor.

Crystal structure
```
data_AgGeH2Pt
_chemical_formula_sum 'Ag1 Ge1 H2 Pt1'
_cell_length_a 3.751
_cell_length_b 3.751
_cell_length_c 5.038
_cell_angle_alpha 90.00
_cell_angle_beta 90.00
_cell_angle_gamma 90.00
_symmetry_space_group_name_H-M 'P 4/m m m'
_symmetry_Int_Tables_number 123
_symmetry_space_group_name_Hall '-P 4 2'
loop_
_atom_site_label
_atom_site_type_symbol
_atom_site_fract_x
_atom_site_fract_y
_atom_site_fract_z
Ag1 Ag 0.000 0.000 0.000
Ge1 Ge 0.500 0.500 0.500
H1 H 0.000 0.500 0.500
Pt1 Pt 0.500 0.500 0.000
```

Principal peaks in the range 2θ from 10° to 90°, most intense first:
hkl	d [Å]	2θ (°)	I/Imax
1 1 0	2.653	33.8	100
0 0 1	5.038	17.6	87
1 1 2	1.827	49.9	66
1 1 1	2.347	38.4	53
0 0 2	2.519	35.6	45
1 0 0	3.751	23.7	41
2 0 0	1.876	48.5	37
2 0 2	1.504	61.7	35
2 0 1	1.758	52.0	21
1 0 2	2.091	43.3	17

4.
- Anosmia - loss of smell - Better Health Channel.
- Kobayashi, M., & Costanzo, R. M. (2009, July 3). Olfactory Nerve Recovery Following Mild and Severe Injury and the Efficacy of Dexamethasone Treatment. Chemical Senses. Oxford University Press (OUP).
- Howell, J., Costanzo, R. M., & Reiter, E. R. (2018, March). Head trauma and olfactory function. World Journal of Otorhinolaryngology - Head and Neck Surgery. Wiley.
- (2002) Management of smell and taste problems - UConn Health